Loudspeakers choice
Your loudspeakers have been developed to be used under Stereo and Home Theater configurations. If you already use Electra 1000 Be on the front and want to move forward to Home Theater, it is paramount to use Electra 1000 Be product line center unit and surround loudspeakers. We recommend CC 1000 Be center units and SR 1000 Be surrounds. You can also use
A subwoofer SW 1000 Be is available.
Magnetic disturbance
The Electra 1000 Be line speakers (except CC 1000 Be) generate a magnetic leakage that may interfere with other sensitive household appliances. It is strongly advised not to place the speakers closer than 50cm to your TV screen. Frame geometry as well as colours can be severely distorted by a magnetic field if the loudspeaker is placed too close to the cathode ray tube.
Generally, every sensitive element (audio tapes, video tapes, magnetic data storages, projector and CRTS
CC1000 Be center loudspeaker positioning
CC 1000 Be center loudspeaker must be placed within close range of the screen for realistic dialogue reproduction. If a standard projection screen is used, the center unit must be placed right under the screen for optimal performance. If a perforated, acoustically transparent screen is used, the center unit can be placed
behind at the lower half of the screen. (fig. F)
SR 1000 Be loudspeakers installation
Securely fasten the fixation rails on
the wall using the provided plugs and then insert SR 1000 Be. (fig. G).
SR 1000 Be positioning Considering it is detrimental to perception, avoid placing SR 1000 Be surround loudspeakers too far back in the listening area. The best location can be obtain when SR 1000 Be surround loudspeakers make a
120° to 160° angle with respect to the listener. (fig. H).
Place SR 1000 be surround
loudspeakers significantly high (between 50 and 90 cm) above the listener’s ears.
SR 1000 Be Bi/Twin Modes
SR 1000 Be features a double Bi/Twin operating system allowing it to be used either in standard bipolar mode (Bi) or in double monopolar mode (Twin). Adequately defining parameters on the 3 positions mode selector and on the double input connector, providing one or two power amplifiers connection capability for each speaker, enables SR 1000 Be to implement 5.1, 6.1 or
7.1configurations using only one pair of surround loudspeakers. (fig. I) That selector authorizes the loudspeakers to work both together or divided in two groups ( and ) carrying different information to the
front and to the back of the listening area (fig. J). The three positions mode selector allows to choose between the Bipolar mode and two Twin modes
(Front and Front ), according to speaker direction (fig. K).
- - -
Entry 1:
The following is a simulated powder XRD pattern of InOsO2F. It was derived from a structure optimized by DFT (PBE), using Cu Ka.

Structure:
a b c (Å): 3.674 3.674 6.691
angles (deg): 90.00 90.00 90.00
Space group P4/mmm (No. 123)
Symmetry-distinct sites (fractional):
In1 0.000 0.000 0.000
Os1 0.500 0.500 0.500
O1 0.000 0.500 0.500
F1 0.500 0.500 0.000

Most intense lines, 2θ = 10–90°, in order of falling intensity:
(hkl), 2θ (°), I_rel
1 0 1, 27.70, 100
0 0 2, 26.65, 45
1 1 2, 44.14, 30
1 1 0, 34.53, 30
2 1 1, 57.78, 26
1 0 3, 47.70, 23
2 0 2, 57.21, 20
2 0 0, 49.63, 16

=====

Entry 2:
The following is a simulated powder XRD pattern of InTe2O5F. It was derived from a structure optimized by DFT (PBE), using Cu Ka.

Structure:
a b c (Å): 7.204 11.467 13.453
angles (deg): 90.00 90.00 90.00
Space group C222_1 (No. 20)
Symmetry-distinct sites (fractional):
In1 0.147 0.098 0.374
Te1 0.082 0.230 0.608
Te2 0.178 0.448 0.352
O1 0.016 0.219 0.473
O2 0.056 0.043 0.874
O3 0.138 0.401 0.587
O4 0.156 0.265 0.838
O5 0.184 0.481 0.214
F1 0.000 0.176 0.250
F2 0.238 0.500 0.000

Most intense lines, 2θ = 10–90°, in order of falling intensity:
(hkl), 2θ (°), I_rel
1 3 2, 29.60, 100
0 0 4, 26.50, 79
2 0 1, 25.60, 76
1 3 1, 27.23, 64
1 3 3, 33.21, 41
2 0 3, 31.87, 34
2 2 0, 29.28, 29
1 3 6, 48.76, 28

=====

Entry 3:
The following is a simulated powder XRD pattern of PaIn6F12. It was derived from a structure optimized by DFT (PBE), using Cu Ka.

Structure:
a b c (Å): 12.3593 12.3593 10.4073
angles (deg): 90.00 90.00 120.00
Space group R-3 (No. 148, hexagonal axes)
Symmetry-distinct sites (fractional):
Pa1 0.0000 0.0000 0.0000
In1 0.0420 0.8172 0.6287
F1 0.0321 0.8630 0.3920
F2 0.0358 0.8824 0.8810

Most intense lines, 2θ = 10–90°, in order of falling intensity:
(hkl), 2θ (°), I_rel
3 -1 1, 23.59, 100
1 2 2, 27.94, 37
4 1 0, 38.54, 30
4 1 3, 46.89, 23
1 1 0, 14.33, 19
3 -1 4, 41.25, 19
0 0 3, 25.68, 17
8 -5 1, 61.27, 15

=====

1.
Structure and theoretical PXRD pattern of SrLiLa7Fe3O16 (the GGA+U geometry in the Materials Project; a wavelength of 1.5418 Å).

Most intense lines, 10 to 80 degrees two-theta, by angle:
2θ/deg  I (rel.)  h k l
23.91  39  1 1 1
27.89  17  0 0 4
31.12  100  1 1 3
32.55  74  2 0 0
42.27  19  1 1 5
43.39  40  2 0 4
46.70  38  2 2 0
55.55  15  1 1 7
57.19  37  3 1 3
64.85  20  2 2 6
75.44  12  3 1 7
77.62  12  4 2 0

Crystal structure
```
SrLiLa7Fe3O16
1.0
5.501 0.000 0.000
0.000 5.501 0.000
0.000 0.000 12.795
Sr Li La Fe O
1 1 7 3 16
direct
0.000 0.000 0.000
0.500 0.500 0.643
0.000 0.000 0.285
0.000 0.500 0.510
0.000 0.500 0.781
0.500 0.000 0.510
0.500 0.000 0.781
0.500 0.500 0.002
0.500 0.500 0.287
0.000 0.000 0.649
0.000 0.500 0.142
0.500 0.000 0.142
0.000 0.000 0.466
0.000 0.000 0.810
0.000 0.500 0.325
0.000 0.500 0.964
0.250 0.250 0.148
0.250 0.250 0.643
0.250 0.750 0.148
0.250 0.750 0.643
0.500 0.000 0.325
0.500 0.000 0.964
0.500 0.500 0.462
0.500 0.500 0.827
0.750 0.250 0.148
0.750 0.250 0.643
0.750 0.750 0.148
- - -
End of the crystal structures.
The use of a third or even a forth SR 1000 Be surround loudspeaker is still possible for the most advanced 6.1 and 7.1 configurations.